House Of Representatives Pks Faction Suspects The Entry Of Chinese Warships Into RI, Government Asked To Be Vigilant

JAKARTA - Members of Commission I of the House of Representatives of Sukamta reminded the government, especially the Ministry of Defense (MoD), TNI, Strategic Intelligence Agency (BAIS) to be aware of the destinations behind Chinese warships entering Indonesia in recent times.

Sukamta explains some relevant events related to Indonesia's maritime security and data so vigilance should be increased under any circumstances.

"Several times we found sea gliders that allegedly belonged to China without permission allegedly collecting Indonesian sea data. These are just some of the unknowns that could be more," Sukamta was quoted as saying by Antara on Wednesday, May 12.

He assessed every foreign military movement to be watched including during humanitarian operations, including Chinese Navy assistance to Indonesia in handling KRI Nanggala-402.

Sukamta exemplifies two Chinese ships, the Xing Dao-863 and the Ocean Tug Nantuo-185, as rescue and lifting vessels so that it is appropriate to assist in the removal of nanggala 402.

However, according to him, the Scientific Salvage Tan Suo 2 is a scientific research vessel operating under the Institute of Deep Sea Sciences and Engineering of the Chinese Academy of Sciences so it is worth watching out for.

"The ship can carry out a double task that is to assist the appointment of Nanggala 402 as well as collect data about the Indonesian sea," he said.

Between two parts of the text: molecular data >
'''
Record 1
{
  "formula": "C33H46FeP2Si",
  "method": "ωB97M-V/def2-TZVPD",
  "spin_multiplicity": 5,
  "lumo_energy_ev": [0.62, 0.44],
  "charge": 0,
  "homo_energy_ev": [-4.6, -6.3],
  "homo_lumo_gap_ev": [5.259, 6.789],
  "symbols": ["P", "P", "C", "C", "H", "H", "H", "H", "C", "H", "H", "H", "C", "H", "H", "H", "C", "H", "H", "H", "C", "H", "H", "H", "Fe", "C", "C", "C", "C", "C", "C", "C", "C", "C", "H", "H", "H", "H", "H", "H", "H", "H", "H", "H", "H", "H", "H", "H", "H", "C", "C", "C", "C", "C", "C", "Si", "C", "C", "C", "C", "C", "C", "C", "C", "C", "C", "C", "C", "H", "H", "H", "H", "H", "H", "H", "H", "H", "H", "H", "H", "H", "H", "H"],
  "xyz": [[0.171, -2.980, -1.046], [0.033, 1.478, -0.004], [0.924, -0.039, -2.722], [0.730, 1.128, -1.760], [0.757, -1.313, -2.477], [1.982, -0.174, -2.791], [1.755, 1.433, -1.612], [0.221, 1.858, -2.369], [-1.536, 2.404, -0.359], [-1.726, 3.148, 0.437], [-2.385, 1.706, -0.388], [-1.469, 2.930, -1.325], [1.185, 2.947, -0.004], [1.167, 3.414, -1.004], [2.197, 2.550, 0.169], [0.950, 3.699, 0.756], [-1.053, -4.321, -1.363], [-1.215, -4.969, -0.487], [-0.753, -4.924, -2.232], [-1.999, -3.818, -1.615], [1.873, -3.704, -1.096], [2.565, -2.867, -1.312], [1.990, -4.426, -1.914], [2.183, -4.162, -0.146], [-0.589, -1.028, -3.259], [0.477, 0.373, -4.215], [-1.040, 0.490, -4.186], [-2.003, -0.230, -5.020], [-1.597, -1.712, -5.415], [-1.010, -2.473, -4.307], [0.448, -2.385, -4.042], [1.456, -1.754, -5.052], [1.104, -0.338, -5.428], [-0.061, -2.742, 0.785], [0.761, 1.433, -4.286], [-1.415, 1.319, -3.567], [-2.137, 0.383, -5.908], [-2.964, -0.295, -4.494], [-2.505, -2.224, -5.724], [-0.908, -1.705, -6.261], [-1.633, -3.100, -3.688], [0.865, -3.280, -3.574], [1.546, -2.388, -5.941], [2.440, -1.792, -4.567], [2.002, 0.163, -5.793], [0.378, -0.307, -6.242], [-0.381, -1.689, 0.925], [0.874, -2.919, 1.362], [-0.862, -3.401, 1.193], [-1.044, 5.423, 3.520], [0.288, 5.044, 3.373], [0.608, 3.704, 3.156], [-0.405, 2.743, 2.998], [-1.733, 3.111, 3.250], [-2.053, 4.453, 3.479], [-0.018, 1.043, 2.326], [1.639, 0.639, 3.061], [2.694, 0.006, 2.366], [3.887, -0.282, 3.036], [4.028, 0.021, 4.396], [2.991, 0.641, 5.090], [1.806, 0.959, 4.412], [-1.278, -0.120, 3.017], [-0.925, -0.929, 4.110], [-1.909, -1.640, 4.816], [-3.245, -1.563, 4.411], [-3.597, -0.804, 3.298], [-2.616, -0.085, 2.606], [-1.302, 6.464, 3.647], [1.082, 5.772, 3.437], [1.655, 3.394, 3.067], [-2.525, 2.363, 3.255], [-3.099, 4.736, 3.633], [2.553, -0.244, 1.311], [4.704, -0.749, 2.472], [4.966, -0.231, 4.898], [3.099, 0.869, 6.144], [1.019, 1.466, 4.973], [0.111, -1.016, 4.439], [-1.629, -2.226, 5.699], [-4.012, -2.141, 4.949], [-4.635, -0.743, 2.977], [-2.901, 0.531, 1.748]],
'''

Sukamta also provided notes related to the joint warship exercises between the Indonesian Navy and the Chinese navy.

According to him, joint exercises are important for mutual understanding and communication between countries but he gave a note on whether the warship exercises will provide understanding when each side is tasked with guarding the borders of the country's sea areas.

"Or the exercise opens up opportunities for the collection of data about the sea and the strength of the Indonesian Navy?," he said.

In addition, according to him, in recent weeks, Chinese warships came to Indonesia amid the heat of China's relations with the United States and its ally, Australia, certainly have political intent.

Sukamta explained, there is a suspicion that the Australian ship deliberately left KRI Nanggala 402 early because it did not want to confront directly or be known the data of the warships that Australia used.

"The activities of Chinese warships in Indonesian territory certainly give an international impression of Indonesia's position. Indonesia must be free to be active, not to be dragged into the U.S. conflict with China," he said.

The MCC politician asked the Indonesian government, especially the TNI, to ensure the security of Indonesia's maritime data and not to get caught up in the conflict in the South China Sea.

Tag: dpr nasional pks china